
HLA loci on chromosome 6p21.3 are one of the most diverse and polymorphic region in the human genome, and the IMGT/HLA database release 3.15.0 currently containes 10,691 allele sequences [1]. HLA class I molecules present endogenous antigens to CD8+ (cytotoxic) T cells, whereas HLA class II molecules present exogenous antigens to CD4+ (helper) T cells [2]. HLA matching of classical class I loci (HLA-A, -B and -C) and three of class II loci (HLA-DQA1, -DQB1 and -DRB1) between a donor and patient lowers risks of acute graft-versus-host disease in unrelated haematopoietic stem cell transplantation [3] or organ transplantation [4]. Specific alleles of class I loci have been found to be associated with the rate of progression from human immunodefinciency virus type 1 (HIV-1) infection to the acquired immunodefiniency syndrome (AIDS) [5]. HLA-DR and -DQ loci have been found to be associated with autoimmune diseases, such as in type I diabetes [6], narcolepsy [7] and multiple sclerosis [8]. Hence, a method to determine HLA types accurately and conveniently is needed for both clinical practices and basic research.

Conventionally, HLA types have been determined at 2-digit resolution (e.g., A*01), which approximates the serological antigen groupings. More recently, sequence specific oligonucleotide probes (SSOP) method has been used for HLA typing at 4-digit resolution (e.g., A*01:01), which can distinguish amino acid differences [9]. Currently, targeted DNA sequencing for HLA typing [10] is the most popular approach for HLA typing over other conventional methods. Since the sequence-based approach directly determines both coding and non-coding regions, it can achieve HLA typing at 6-digit (e.g., A*01:01:01) and 8-digit (e.g., A*01:01:01:01) resolution, respectively. HLA typing at the highest resolution is desirable to distinguish existing HLA alleles from new alleles or null alleles from clinical perspective [11].

Because of recent improvement and cost reduction of the next generation sequencers (NGSs), several methods have been proposed to predict HLA types from high-throughput sequencing data. Seq2HLA [12] predicts 2-digit HLA types from RNA-Seq data, but is not designed for 4-digit HLA typing. HLAminer [13] predicts HLA types at 4-digit resolution based on the best alignment score of reads to the reference HLA allele sequences, whereas the most recently proposed PHLAT [14] predicts HLA types at 6-digit resolution based on the likelihood score considering SNP sites against reference sequences. Since there exists uncertainty in read alignments to highly homologous HLA allele sequences, accurate HLA typing at high-resolution is still challenging.

We have developed a computational method, HLA-VBSeq, to estimate HLA types effectively and accurately at 8-digit resolution from whole genome sequencing data. In the first step of the HLA-VBSeq pipeline, read sequences are aligned to the reference genomic sequences of the registered HLA allelles in the IMGT/HLA database, in which multiple hits are allowed. Then, HLA-VBSeq optimizes both read alignments to the HLA allele sequences and relative quantities of reads on HLA alleles simultaneously under a statistical framework by variational Bayesian inference. Our approach considers all the possible alignments of reads to HLA allele sequences, and calculates the marginal likelihood of data from gapped alignments of reads to the reference sequences, in which deletions and insertions as well as SNP sites are naturally considered. In our Bayesian approach, an optimal set of HLA allele sequences is estimated for accurate HLA typing. We apply HLA-VBSeq to the simulation data of 5x, 10x, 20x and 30x coverage and compare prediction performance of our method with those of PHLAT and HLAminer. We also apply HLA-VBSeq to the whole genome sequencing data of a CEU trio to show the effectiveness of the proposed method.


HLA-VBSeq pipeline

Between two parts of the piece: materials data.
An optimized crystal structure of NdPuSi2, computed with PBE.

Cell: 4.7789 4.7789 5.4385 Å, 63.94 63.94 60.00°
Each line ends with the local moment (μB).
Element x y z (fractional)
Si (0.7409, 0.7409, 0.7774)  -0.04
Pu (0.0000, 0.0000, 0.0000)  5.13
Si (0.2591, 0.2591, 0.2226)  -0.04
Nd (0.5000, 0.5000, 0.5000)  0.04

Computed properties:
Crystal system: trigonal
Symmetry: R-3m, No. 166
Uncorrected formation energy, meV/atom: -294
Density of states at the Fermi level, states/eV per cell: 9.219
E above lowest polymorph, eV per atom: 0.270
DFT total energy, eV/atom: -7.781

An optimized crystal structure of Nd3PuSi4, computed with PBE.

Cell: 4.1657 6.3771 8.7913 Å, 111.26 103.70 90.00°
Each line ends with the local moment (μB).
Element x y z (fractional)
Si (0.3706, 0.1870, 0.7412)  -0.01
Nd (0.8082, 0.8081, 0.6163)  0.03
Nd (0.1918, 0.1919, 0.3837)  0.03
Nd (0.0000, 0.5000, 0.0000)  0.04
Si (0.3706, 0.5543, 0.7413)  -0.01
Si (0.6294, 0.4457, 0.2587)  -0.01
Si (0.6294, 0.8130, 0.2588)  -0.01
Pu (0.5000, 0.0000, 0.0000)  5.37

Computed properties:
Crystal system: orthorhombic
Symmetry: Immm, No. 71
Uncorrected formation energy, meV/atom: -434
Density of states at the Fermi level, states/eV per cell: 12.285
DFT total energy, eV/atom: -6.725

An optimized crystal structure of NdPuSi, computed with PBE.

Cell: 3.7887 3.7861 11.9448 Å, 90.22 90.00 120.02°
Element x y z (fractional)
Si (0.6687, 0.3374, 0.6932)
Nd (0.6633, 0.3265, 0.1382)
Pu (0.3337, 0.6674, 0.5417)
Pu (0.6663, 0.3326, 0.4583)
Nd (0.3367, 0.6735, 0.8618)
Si (0.3313, 0.6626, 0.3068)

Computed properties:
Crystal system: monoclinic
Symmetry: C2/m, No. 12
Uncorrected formation energy, meV/atom: -80
Density of states at the Fermi level, states/eV per cell: 9.155
E above lowest polymorph, eV per atom: 0.094
DFT total energy, eV/atom: -8.254

Q: Which value of DFT total energy does entry 3 give?
A: -8.254 eV/atom

An overview of the HLA-VBSeq pipeline for estimating HLA types is described in Figure 1. First, reads obtained by whole-genome sequencing are aligned to the reference genome (GRCh37/hg19) with decoy sequences (hs37d5) with an alignment tool, BWA-MEM [15]. BWA-MEM is robust to sequencing errors and can be applicable to read sequence lengths up to a few megabases [16]. Second, reads aligned to HLA loci (HLA-A, -B, -C, -DM, -DO, -DP, -DQ, -DR, -E, -F, -G, -H, -J, -K, -L, -P, -V, -MIC, and -TAP) and unmapped reads are extracted from the BAM file with SAMtools [17]. For the case of paired-end sequencing data, if one of the paired-end mates is aligned to an HLA locus and the other is not, then both reads of the pair are extracted and used for downstream analyses. Then, the extracted reads are re-aligned to the collection of all the genomic HLA allele sequences in the IMGT/HLA database, in which multiple alignments to the reference sequences for each read are allowed with the "-a" option in BWA-MEM. Here, all the genomic DNA sequences registered in the IMGT/HLA database release 3.15.0, including pseudogenes, are considered. For example, the numbers of registered genomic DNA sequences for HLA-A, -B, -C, - DQA1, -DQB1, and -DRB1 are 126, 168, 118, 27, 18, and 27, respectively. Finally, expected read counts on HLA alleles are estimated by variational Bayesian inference under a statistical framework for HLA typing. Details are described in the following sections.

Figure 1
figure 1

Overview of the HLA-VBSeq pipeline. Given read data, the human reference genome sequence, and the HLA allele reference sequences, HLA-VBSeq estimates the expected read counts on HLA alleles for HLA typing.

Optimization of read alignments to HLA allele sequences

From the BAM file constructed above, our goal is to estimate the most appropriate alignments of reads to the allele sequences, and to predict the most likely set of HLA types at the same time. The generative model of read data used in HLA-VBSeq is described in Figure 2. In the statistical framework, an ambiguous alignment of the first and second nucleotide sequences of read n to the reference HLA allele sequence t is treated as the hidden variable Z nt , where Z nt is an indicator variable and it takes one if read n is generated from allele t, and zero otherwise. Read abundance (depth of coverage, after normalization by the length of the allele sequence) on HLA alleles are treated as a model parameter θ. In the variational Bayesian approach, model parameters are estimated as the posterior distribution. We use the Dirichlet distribution for the prior distribution of the parameter vector θ

Figure 2
figure 2

The generative model of read data in HLA-VBSeq. The read abundance parameter, indicator variable for the HLA allele choice, nucleotide sequence of the first and second pair of read n are represented by θ, Z nt , R n 1 and R n 2 , respectively.

P ( θ ) = 1 C t = 0 T θ t α t - 1 ,

where C is a constant, t = 0 T θ t = 1 , T is the number of HLA alleles considered, and α t > 0 is the hyperparameter, which controls the complexity of model parameters. In our method, we use the uniform hyperparameter α0 and it is selected as a maximizer of the log marginal likelihood of the observed data.

Our goal is to estimate the posterior distributions of θgiven the data. However, this requires integrals over hidden variables and is intractable to compute in closed form. Hence, we use variational Bayesian (VB) inference to obtain the approximation of the full posterior distribution by assuming the factorization of latent variables and model parameters [18]. In the variational Bayesian E (VBE) step, for read n, an expected read count generated from the HLA allele t is calculated based on the current estimate of the abundance parameter as r t ^ = n E Z Z n t = 1 . In the variational Bayesian M (VBM) step, the read abundance on each allele is calculated based on the current estimate of the expected read counts by E θ θ ^ t = α t ^ / t α t ^ , where α t ^ = α 0 + r t ^ Each step is iterated until a convergence criterion is satisfied (when the read quantities on HLA alleles are no longer updated). Update equations in each step can be calculated similarly as described in the previous work [19].

HLA typing from the optimized read alignment on HLA alleles

After the inference algorithm converges, HLA types are predicted based on the expected number of reads assigned to each allele. Because there exist sequencing errors (substitutions, deletions and insertions against reference sequences) and alignment errors, a threshold for the depth of coverage on HLA alleles is set. In our analysis, we set the threshold as 20% of the depth of coverage (i.e., if the data is 30x on average, then we use 6x for a threhold). For each HLA locus, a diplotype is decided as follows:

• If there is no allele that passes the threshold, then it is considered that there are not enough reads to identify a correct HLA type, and hence no allele is called.

• If there is only one allele that passes the threshold, and the depth of coverage is more than or equal to twice as that of the threshold, then the HLA locus is considered to be homozygous of that HLA allele. If the depth of coverage is less than twice as that of the threshold, then the allele is called as heterozygous.

• If there are two or more alleles that pass the threshold, then alleles are sorted according to the depth of coverage from high to low. The top two alleles are selected as candidates of HLA types. If the depth of coverage of the top one is more than twice as that of the second one, then the HLA locus is set as homozygous of the top one. Otherwise, the HLA locus is predicted as a diplotype of the top and second one.

Performance measure of HLA typing

Prediction performance is evaluated in terms of the prediction accuracy. In our analysis, the prediction accuracy is defined as the fraction of true positive predictions among the true HLA types. In this simulation experiment, two HLA alleles (either heterozygous or homozygous) for six HLA loci (HLA-A, -B, -C, -DQA1, -DQB1 and -DRB1), or 12 HLA alleles in total, are evaluated for each individual. The prediction performance is evaluated separately at the 2-digit, 4-digit, 6-digit and 8-digit resolution for each method.

Results and discussion

Simulation data analysis

- - -
A plane-wave DFT calculation with PBE-GGA was carried out for a relaxed structure of TbPdAu.

Properties
Total magnetization = 0.00 μB per formula unit
Offset from the most stable computed form = 136 meV per atom
Energy relative to the elements = -0.71 eV per atom

Cell lengths 4.6296, 4.6296, 4.6296 Å; angles 60.00, 60.00, 60.00 degrees
Closest atoms and distances in Å follow each position.
Element x y z (fractional)
Tb: 0.5000 0.5000 0.5000  4 Pd 2.84
Au: 0.0000 0.0000 0.0000  4 Pd 2.84
Pd: 0.2500 0.2500 0.2500  4 Tb 2.84, 4 Au 2.84

A plane-wave DFT calculation with PBE-GGA was carried out for a relaxed structure of AcNdYEr.

Properties
Total magnetization = 0.00 μB per formula unit
Offset from the most stable computed form = 0 meV per atom
Energy relative to the elements = 0.06 eV per atom

Cell lengths 3.7037, 3.7020, 12.1690 Å; angles 90.00, 98.73, 119.99 degrees
Closest atoms and distances in Å follow each position.
Element x y z (fractional)
Ac: 0.9661 0.3810 0.3630  6 Ac 3.70, 3 Y 3.76, 3 Nd 3.86-3.87
Nd: 0.4791 0.1376 0.6317  3 Er 3.57, 6 Nd 3.70, 3 Ac 3.86-3.87
Y: 0.1291 0.9625 0.1049  3 Er 3.53-3.54, 6 Y 3.70, 3 Ac 3.76
Er: 0.3036 0.5498 0.8701  3 Y 3.53-3.54, 3 Nd 3.57, 6 Er 3.70

A plane-wave DFT calculation with PBE-GGA was carried out for a relaxed structure of Er3Tl3TcO8.

Properties
Total magnetization = 3.00 μB per formula unit
Formation energy (no corrections) = -2.171 eV/atom

Cell lengths 6.7446, 6.7447, 7.6242 Å; angles 116.26, 90.00, 120.00 degrees
Closest atoms and distances in Å follow each position.
Element x y z (fractional)
Er: 0.5000 0.0000 0.5000  6 O 2.23-2.29
Er: 0.5000 0.5000 0.5000  6 O 2.23-2.29
Er: 0.0000 0.5000 0.5000  6 O 2.23-2.29
Tl: 0.0000 0.0000 0.0000  6 O 2.90-2.93
Tl: 0.0000 0.5000 0.0000  6 O 2.90-2.93
Tl: 0.5000 0.5000 0.0000  6 O 2.90-2.93
Tc: 0.0000 0.0000 0.5000  6 O 2.10
O: 0.2778 0.5555 0.3334  3 Er 2.23
O: 0.7222 0.4445 0.6666  3 Er 2.23
O: 0.7910 0.5820 0.3369  1 Tc 2.10, 2 Er 2.29
O: 0.2090 0.4180 0.6631  1 Tc 2.10, 2 Er 2.29
O: 0.7910 0.0458 0.3368  1 Tc 2.10, 2 Er 2.29
O: 0.2090 0.9542 0.6632  1 Tc 2.10, 2 Er 2.29
O: 0.2548 0.0458 0.3368  1 Tc 2.10, 2 Er 2.29
O: 0.7452 0.9542 0.6632  1 Tc 2.10, 2 Er 2.29

A plane-wave DFT calculation with PBE-GGA was carried out for a relaxed structure of Si2PtRh.

Properties
Total magnetization = 0.00 μB per formula unit
Offset from the most stable computed form = 71 meV per atom
Formation energy (no corrections) = -0.615 eV/atom

Cell lengths 4.4690, 3.0589, 4.1549 Å; angles 90.02, 90.00, 90.00 degrees
Closest atoms and distances in Å follow each position.
Element x y z (fractional)
Pt: 0.0000 0.3751 0.4831  6 Si 2.47-2.68
Rh: 0.5000 0.8747 0.7724  6 Si 2.44-2.72
Si: 0.0000 0.8750 0.0132  2 Rh 2.45, 4 Pt 2.48-2.68
Si: 0.5000 0.3751 0.2313  4 Rh 2.44-2.72, 2 Pt 2.47

A plane-wave DFT calculation with PBE-GGA was carried out for a relaxed structure of CaDyY2Au4.

Properties
Total magnetization = 0.00 μB per formula unit
- - -

First, we evaluate the performance of predicting HLA types with HLA-VBSeq compared to other methods in simulation data analysis. From the comparative study recently published [14], we chose PHLAT and HLAminer as comparable methods that can type HLA class I (HLA-A, -B and -C) and class II (HLA-DQA1, -DQB1 and-DRB1) loci at 4-digit resolution from whole-genome sequencing data. We prepared the simulation data of 1,000 human samples, whose HLA diplotypes for the six HLA loci were randomly chosen from the registered HLA alleles in the IMGT/HLA database release 3.15.0. Once HLA types are fixed for each individual, one SNP per 1,000 bp is incorporated in the HLA allele sequences for each individual, which is based on the average base diversity in the human genome [20]. Then, 100 bp paired-end read data (5x, 10x, 20x and 30x), whose mean and standard deviation of the fragment length distribution were set as 300 bp and 40 bp, respectively, are generated with 0.1% substitution, deletion and insertion errors uniformly across HLA allele sequences.

Table 1 shows the prediction accuracy of HLA-VBSeq and existing tools for HLA typing in the 30x simulation data analysis. In this experiment, all the diplotypes for the six loci were called with HLA-VBSeq. Notably, HLA-VBSeq predicts HLA types at 8-digit resolution with 99.94% accuracy, which is significantly better than those with PHLAT and HLAminer at any resolution. We did not observe a significant difference in terms of the prediction accuracy between HLA class I and class II with HLA-VBSeq (99.90% and 99.98%, respectively). Figure 3 shows the prediction accuracy of HLA typing at 4-digit resolution at the various depth of coverage of the simulation data. The prediciton accuracy with HLA-VBSeq is consistently better than those with PHLAT and HLAminar across all the depth of coverage. Notably, the HLA-VBSeq predicted HLA types at 4-digit resolution with an accuracy of 99.36% even from the 5x simulation data. Because PHLAT only considers SNP sites for calculating the likelihood, it is not effective for cases where other polymorphic sites, such as deletions or insertions, are important for determining HLA types. Another possible drawback of PHLAT is that the method require prior information about HLA allele frequencies. However, since HLA allele frequencies are diverse among human populations [21], it is not always possible to assume ethnic origins of samples.

Table 1 Prediction accuracy of HLA-VBSeq and existing tools for HLA typing in the 30x simulation data analysis.
Figure 3
figure 3

Prediction accuracy of HLA-VBSeq and existing tools for HLA typing at 4-digit resolution for 5x, 10x, 20x and 30x simulation data. The accuracies of each method are calculated at 4-digit resolution from 5x, 10x, 20x and 30x simulation data. HLA-VBSeq outperformed others for all the depth of coverage.

Real data analysis

HLA-VBSeq was applied to the PCR-free whole-genome sequencing data of CEU trio samples, NA12878, NA12891, and NA12892. The 100 bp paired-end data were generated with the HiSeq2000, whose average insert size is 300 bp and depth of coverage is 45x for each sample (all the data were generously provided by Illumina Inc.). Table 2 shows the summary of the predicted HLA types of the CEU trio. The HLA types for class I loci (HLA-A, -B, and -C) estimated with HLA-VBSeq coincided with the experimentally validated HLA types at 4-digit resolution (shown in bold text in Table 2) [10]. Notably, many of the HLA types were predicted at 8-digit resolution with HLA-VBSeq. Predicted HLA types of HLA-A, -B and -C loci with HLA-VBSeq were coincided with those with PHLAT at 6-digit resolution except B*07:02:01 (one allele in NA12891). Another literature also reported that one of HLA-B alleles of NA12891 as B*07:02:01 [22]. Instead, PHLAT predicted the corresponding HLA type as B*07:02:29. Overall, HLA types of the trio (child, father and mother) predicted with HLA-VBSeq were more consistent than those with PHLAT.

**Data records that have nothing to do with the page**
=====
First-principles (PBE) data for crystalline LaZnW2 at its relaxed geometry, as listed in Alexandria via LeMat-Bulk.

The space group is Pmmm (No. 47) and the conventional cell measures 2.814, 4.184 and 6.792 Å, with angles of 90.00, 90.00 and 90.00 degrees. The asymmetric unit holds La at (0.000, 0.000, 0.000), Zn at (0.000, 0.000, 0.500) and W at (0.500, 0.500, 0.316).

The formation energy is 0.69 eV/atom. The calculated volume is 80 Å³/cell. The density of states at the Fermi level comes out at 0.940 states/eV per atom.

----------

A geometry-optimized ErCoSn4 structure. Source: Alexandria, functional PBE-GGA.

Cell and atoms, written as CIF:
```
data_ErCoSn4
_cell_length_a 14.536
_cell_length_b 14.536
_cell_length_c 4.383
_cell_angle_alpha 90.00
_cell_angle_beta 90.00
_cell_angle_gamma 162.68
_symmetry_space_group_name_H-M 'P 1'
_symmetry_Int_Tables_number 1
_symmetry_space_group_name_Hall 'P 1'
loop_
_atom_site_label
_atom_site_type_symbol
_atom_site_fract_x
_atom_site_fract_y
_atom_site_fract_z
_atom_site_occupancy
Er1 Er 0.193 0.807 0.000 1
Er2 Er 0.807 0.193 0.000 1
Co1 Co 0.450 0.550 0.500 1
Co2 Co 0.550 0.450 0.500 1
Sn1 Sn 0.000 0.000 0.500 1
Sn2 Sn 0.108 0.892 0.500 1
Sn3 Sn 0.286 0.714 0.500 1
Sn4 Sn 0.392 0.608 0.000 1
Sn5 Sn 0.500 0.500 0.000 1
Sn6 Sn 0.608 0.392 0.000 1
Sn7 Sn 0.714 0.286 0.500 1
Sn8 Sn 0.892 0.108 0.500 1
```

## Properties
Total DFT energy (no corrections) ... -4.91 eV per atom
Spin magnetization ... 0.00 Bohr magnetons per cell
N(E_F) ... 5.29 states/eV/cell
E above lowest polymorph ... 0.0 meV/atom


A geometry-optimized ErCo6Sn12 structure. Source: Alexandria, functional PBE-GGA.

Cell and atoms, written as CIF:
```
data_ErCo6Sn12
_cell_length_a 7.728
_cell_length_b 7.728
_cell_length_c 7.728
_cell_angle_alpha 106.52
_cell_angle_beta 106.52
_cell_angle_gamma 106.52
_symmetry_space_group_name_H-M 'P 1'
_symmetry_Int_Tables_number 1
_symmetry_space_group_name_Hall 'P 1'
loop_
_atom_site_label
_atom_site_type_symbol
_atom_site_fract_x
_atom_site_fract_y
_atom_site_fract_z
_atom_site_occupancy
Er1 Er 0.000 0.000 0.000 1
Co1 Co 0.276 0.276 0.693 1
Co2 Co 0.276 0.693 0.276 1
Co3 Co 0.307 0.724 0.724 1
Co4 Co 0.693 0.276 0.276 1
Co5 Co 0.724 0.307 0.724 1
Co6 Co 0.724 0.724 0.307 1
Sn1 Sn 0.123 0.500 0.877 1
Sn2 Sn 0.123 0.877 0.500 1
Sn3 Sn 0.148 0.404 0.404 1
Sn4 Sn 0.404 0.148 0.404 1
Sn5 Sn 0.404 0.404 0.148 1
Sn6 Sn 0.500 0.123 0.877 1
Sn7 Sn 0.500 0.877 0.123 1
Sn8 Sn 0.596 0.596 0.852 1
Sn9 Sn 0.596 0.852 0.596 1
Sn10 Sn 0.852 0.596 0.596 1
Sn11 Sn 0.877 0.123 0.500 1
Sn12 Sn 0.877 0.500 0.123 1
```

## Properties
Total DFT energy (no corrections) ... -4.94 eV per atom
Spin magnetization ... 0.00 Bohr magnetons per cell
N(E_F) ... 18.45 states/eV/cell


A geometry-optimized ErCoSn2 structure. Source: Alexandria, functional PBE-GGA.

Cell and atoms, written as CIF:
```
data_ErCoSn2
_cell_length_a 9.815
_cell_length_b 9.815
_cell_length_c 9.815
_cell_angle_alpha 154.00
_cell_angle_beta 123.23
=====

Table 2 Predicted HLA types of the CEU trio samples with HLA-VBSeq.

Predicted HLA types of HLA-DQA1, -DQB1 and -DRB1 loci with HLA-VBSeq were coincided with those with PHLAT at 6-digit resolution except DQA1*01:01:02 (one allele in NA12878 and two alleles in NA12892). PHLAT instead predicted them as DQA1*01:01:01, whose genomic sequence was missing in the IMGT database release 3.15.0, and hence HLA-VBSeq could not predict the HLA type in our experimental condition.


HLA-VBSeq is an efficient and accurate HLA typing method using whole-genome sequencing data without the need of primer design for HLA loci or prior knowledge of HLA allele frequencies. Although we have evaluated the prediction performance with HLA-VBSeq using the simulation data of various depth of coverage and real data of whole-genome sequencing data, other high-throughput sequencing data, such as from target-sequencing can be utilized with minor modifications in the pipeline. However, we should bear in mind that because of the complexity of HLA loci and a fairly polymorphic nature of each locus, off-target sequences are often obtained by the target-sequencing approach, such as from pseudogenes [23]. As population-wide sequencing data becomes available, HLA-VBSeq can be easily applied for HLA typing at any HLA loci, which will be useful for association studies to identify links to phenotypes, as well as for clinical works such as donor-recipient matching. Since the genomic sequences registered in the IMGT/HLA database are still not complete, there is room for improvement in predicting HLA types with HLA-VBSeq in the future.

Availability of supporting data

The implementation of HLA-VBSeq and the documentation is available in the website,